**Wanted:**
The reader should search the rows further below for the word "molecule" and echo each line that has it.

**Input:**
Below is a structure of composition C9H13EuO7P in a non-equilibrium geometry, with properties calculated with the ωB97M-V functional and the def2-TZVPD basis.

Atoms and positions in Å:
Eu1 0.01 -0.13 -1.39
O1 -0.01 3.18 -1.25
C1 0.00 2.03 -1.34
C2 0.00 -2.29 -1.33
O2 0.01 -3.43 -1.25
C3 2.16 -0.12 -1.50
O3 3.30 -0.12 -1.47
C4 -2.15 -0.14 -1.49
O4 -3.30 -0.13 -1.47
C5 0.00 0.59 -3.80
H1 -0.94 1.14 -3.85
H2 0.94 1.15 -3.85
C6 0.00 -0.85 -3.80
H3 0.94 -1.40 -3.85
H4 -0.93 -1.40 -3.85
C7 -1.57 -0.82 3.37
O5 -0.31 -0.26 3.06
P1 -0.17 -0.19 1.44
O6 0.44 1.39 1.38
C8 -0.75 2.30 1.75
O7 0.98 -1.40 1.23
C9 2.26 -1.00 1.77
H5 -1.66 -1.82 2.93
H6 -2.35 -0.16 3.01
H7 -1.60 -0.89 4.49
H8 -1.56 2.14 1.03
H9 -1.08 2.11 2.77
H10 -0.37 3.35 1.65
H11 2.57 -0.13 1.20
H12 2.20 -0.81 2.85
H13 2.94 -1.87 1.55

Calculated values
DFT total energy = -1927.65976 hartree
multiplicity = 7
net charge = +3

Atom charges from the Mulliken analysis, given in e for atoms 1 to 8:
1 Eu -0.22
2 O -0.04
3 C 0.46
4 C 0.58
5 O -0.03
6 C 0.51
7 O -0.01
8 C 0.53

----------

This record from the OMol25 dataset describes the molecule C3H3NOS2 at a distorted geometry. The level of theory is ωB97M-V with the def2-TZVPD basis set.

Atoms and positions in Å:
1 O 2.04 -0.84 -0.18
2 C 1.82 0.34 -0.23
3 C 0.39 0.66 0.12
4 S -0.01 2.24 0.04
5 N -0.44 -0.42 0.23
6 C -1.83 -0.68 0.14
7 S -2.93 0.45 -0.20
8 H 2.67 1.11 -0.32
9 H 0.33 -1.18 0.27
10 H -2.04 -1.69 0.14

Its SMILES is O=CC(=S)NC=S. The value obtained for the electronic energy is -1042.4238 Ha. As for the HOMO-LUMO gap: 0.2584 Ha. The value obtained for the LUMO energy is -0.054 Ha. The spin multiplicity is 1.

These are the natural (NBO) partial charges, in e, on atoms 1 to 8: O -0.52; C 0.38; C -0.06; S 0.05; N -0.60; C -0.11; S 0.04; H 0.19



This record from the OMol25 dataset describes the molecule C3H3NOS3 at a distorted geometry. The level of theory is ωB97M-V with the def2-TZVPD basis set.

Atoms and positions in Å:
1 S -3.20 0.35 -0.33
2 C -1.77 -0.52 0.07
3 N -0.53 0.00 -0.06
4 O 0.40 -0.95 -0.34
5 C 1.68 -0.57 0.09
6 S 1.72 1.15 -0.43
7 C 0.04 1.32 -0.13
8 S -0.75 2.78 -0.01
9 H -1.76 -1.58 0.15
10 H 1.70 -0.72 1.26
11 H 2.47 -1.25 -0.26

Its SMILES is S=CN1OCSC1=S. The value obtained for the electronic energy is -1440.5548 Ha. As for the HOMO-LUMO gap: 0.2633 Ha. The value obtained for the LUMO energy is -0.042 Ha. The spin multiplicity is 1.

These are the natural (NBO) partial charges, in e, on atoms 1 to 8: S -0.06; C -0.07; N -0.17; O -0.35; C -0.23; S 0.36; C -0.19; S 0.05

----------

Computed, not measured: the molecule C4H11NO in a non-equilibrium geometry, with wB97M-V/def2-TZVPD.

## Properties
Orbital gap: 0.36520 Ha
Energy relative to the best compared isomer or geometry (same formula, charge and spin): 0.966 eV
Charge: 0
Multiplicity: 1

Geometry as XYZ:
```
17
Properties=species:S:1:pos:R:3:forces:R:3:nbo_charge:R:1
H -1.192 1.018 1.776 0.0 0.0 0.1 0.224
H -2.077 0.113 0.544 -0.1 0.0 0.0 0.215
H 0.565 -2.065 -0.022 0.1 -0.2 0.1 0.190
H 0.178 -2.299 -1.739 0.0 0.0 0.2 0.204
H -0.448 -0.039 -1.861 0.1 -0.1 0.3 0.365
H 1.453 0.160 1.533 0.1 0.0 0.1 0.210
C -0.080 -1.741 -0.835 0.1 0.1 -0.1 -0.416
O -0.484 1.834 -0.564 -0.1 0.2 -0.1 -0.722
H 1.993 0.393 -0.194 -0.2 1.0 1.5 0.238
H -0.848 -0.701 1.540 0.0 -0.1 0.0 0.210
C 1.342 0.792 0.655 0.2 -0.7 -1.3 -0.666
N 0.161 -0.332 -1.096 -0.9 0.3 -0.6 -0.667
C -1.114 0.224 1.038 0.1 0.3 -0.5 -0.641
H 0.219 2.157 -1.141 0.0 0.0 0.0 0.470
H -1.117 -1.975 -0.579 -0.1 -0.1 0.1 0.169
C -0.048 0.625 0.018 0.3 -0.6 0.1 0.396
H 1.497 1.834 0.928 0.3 0.0 0.0 0.220
```
Forces are in eV/Å.

=====

Computed, not measured: a cluster of 7 separate species, C34H66ClO19P in total in a non-equilibrium geometry, with wB97M-V/def2-TZVPD.

## Properties
Orbital gap: 0.32490 Ha
Charge: 0
Multiplicity: 1

Geometry as XYZ:
```
121
Properties=species:S:1:pos:R:3:forces:R:3:mulliken_charge:R:1
H 0.100 -6.068 5.707 0.1 -0.1 0.2 0.270
C 0.522 -7.053 5.916 -0.2 0.2 -0.6 -0.930

**Outcome:**
This record from the OMol25 dataset describes the molecule C3H3NOS2 at a distorted geometry. The level of theory is ωB97M-V with the def2-TZVPD basis set.
This record from the OMol25 dataset describes the molecule C3H3NOS3 at a distorted geometry. The level of theory is ωB97M-V with the def2-TZVPD basis set.
Computed, not measured: the molecule C4H11NO in a non-equilibrium geometry, with wB97M-V/def2-TZVPD.